Arbitrage Opportunities On Toronto Stock Exchange?

When traders discover a new currency play or a dual stock listing they jump in with both feet. And that’s precisely what Toronto-based Omega ATS, an off-exchange alternative trading system (ATS), is hoping will happen.

## Here the piece breaks off for materials data
____________
(1)
This record from Alexandria describes a relaxed structure of Nb2ReRh. The functional is PBE.

Output
The formation energy comes out at -22.2 kJ per mole of atoms. The space-group type is P4/mmm. As for the crystal system: tetragonal.

a b c (Å): 3.237 4.509 4.509
angles (deg): 90.00 90.00 90.00
Element x y z (fractional)
1 Re 0.500 0.500 0.500
2 Nb 0.000 0.000 0.500
3 Nb 0.000 0.500 0.000
4 Rh 0.500 0.000 0.000

(2)
This record from Alexandria describes a relaxed structure of MgOsW2. The functional is PBE.

Output
The formation energy comes out at 29.2 kJ per mole of atoms. The space-group type is R3m. As for the crystal system: trigonal.

a b c (Å): 9.566 9.566 9.566
angles (deg): 16.96 16.96 16.96
Element x y z (fractional)
1 Mg 0.497 0.497 0.497
2 Os 0.747 0.747 0.747
3 W 0.004 0.004 0.004
4 W 0.252 0.252 0.252

(3)
This record from Alexandria describes a relaxed structure of Ca2PuWN5. The functional is PBE.

Output
As for the formation energy (no corrections): -933 meV per atom. The space-group type is Cmc2_1. As for the crystal system: orthorhombic.

a b c (Å): 3.461 7.010 11.138
angles (deg): 90.00 90.00 104.29
Last column: magnetic moment on the atom in μB.
Element x y z (fractional)
1 Ca 0.847 0.693 0.806  0.01
2 Ca 0.090 0.180 0.670  0.01
3 Ca 0.153 0.307 0.306  0.01
4 Ca 0.910 0.820 0.170  0.01
5 Pu 0.784 0.568 0.530  3.43
6 Pu 0.216 0.432 0.030  3.43
7 W 0.518 0.037 0.944  0.09
8 W 0.482 0.963 0.444  0.09
9 N 0.383 0.767 0.994  -0.07
10 N 0.691 0.381 0.920  -0.20
11 N 0.499 0.998 0.782  0.00
12 N 0.273 0.545 0.655  -0.19
13 N 0.952 0.905 0.522  -0.04
14 N 0.617 0.233 0.494  -0.07
15 N 0.309 0.619 0.420  -0.20
16 N 0.501 0.002 0.282  0.00
17 N 0.727 0.455 0.155  -0.19
18 N 0.048 0.095 0.022  -0.04

(4)
This record from Alexandria describes a relaxed structure of Sc2ReBr. The functional is PBE.

Output
As for the formation energy (no corrections): 499 meV per atom. The space-group type is F-43m. As for the crystal system: cubic. Its energy above the most stable polymorph in this dataset is 1.0339 eV/atom.

a b c (Å): 4.741 4.741 4.741
angles (deg): 60.00 60.00 60.00
Element x y z (fractional)
1 Br 0.500 0.500 0.500
2 Re 0.750 0.750 0.750
3 Sc 0.000 0.000 0.000
4 Sc 0.250 0.250 0.250

(5)
This record from Alexandria describes a relaxed structure of Re2TeWI. The functional is PBE.

Output
As for the formation energy (no corrections): 3225 meV per atom. The space-group type is P4/mmm. As for the crystal system: tetragonal.

a b c (Å): 4.813 5.675 4.813
angles (deg): 90.00 90.00 90.00
Last column: magnetic moment on the atom in μB.
Element x y z (fractional)
1 I 0.000 0.000 0.000  0.06
2 Re 0.000 0.000 0.500  -0.94
3 Re 0.500 0.000 0.000  -1.14
4 Te 0.000 0.500 0.000  -0.14
5 W 0.500 0.500 0.500  2.67
____________


Market information spans the globe faster than most people can think. Together with ever-imaginative trade scenarios there’s scant chance left for traders to buy low and sell a little bit higher. So when traders discover a new currency play or a dual stock listing they jump in with both feet. At least that’s what one trading venue in Canada expects will happen.

Toronto-based Omega ATS is an off-exchange alternative trading system (ATS), which allows dealers to trade securities listed on the Toronto Stock Exchange (TSX) at, the company claims, greater speeds through a very fast matching engine and at lower transaction costs. Canadian regulators have mandated that dealers expose orders to all bids whether on or off exchanges, in order to achieve the best execution. Omega plans to add US-listed securities denominated in Canadian dollars next month, saving dealers exchange fees, boosting trading – and so adding market liquidity – and providing hedge funds and high frequency traders (HFT) with arbitrage plays, too.

On March 15, the low latency provider announced that its subscribers would be able to trade US securities, quoted in Canadian dollars. In the future it wants to expand its foreign instruments offerings to include “any CDS-eligible security traded on a highly trafficked US exchange,” Omega said in its release.

Some of the new order flow is expected to come from pension plans. Last year, Canada’s regulators dropped their rule that had limited the securities in the country’s Retirement Savings Plans (RSPs), similar to 401(k) plans in the US, to just 20% of foreign issues. Also, prior to this, Canada’s plan managers had had to maintain two books; one for trading the shares in US dollars and another for Canadian dollars, paying $125 just to maintain each broker account. Liquidity was low too, forcing managers to contend with spreads as high as 3%.

== Unrelated to this entry: data records ==
Record 1
Te2ClF | GGA-PBE | optimized geometry

```
data_Te2ClF
_chemical_formula_sum 'Te8 Cl4 F4'
_cell_length_a 4.923
_cell_length_b 4.923
_cell_length_c 17.778
_cell_angle_alpha 90.00
_cell_angle_beta 90.00
_cell_angle_gamma 90.00
_symmetry_space_group_name_H-M 'I -4 2 d'
_symmetry_Int_Tables_number 122
_symmetry_space_group_name_Hall 'I -4 2bw'
loop_
_atom_site_label
_atom_site_fract_x
_atom_site_fract_y
_atom_site_fract_z
Te1 0.148 0.250 0.125
Cl1 0.000 0.000 0.500
F1 0.000 0.000 0.000
```

***

Record 2
Te2ClF | GGA-PBE | optimized geometry

```
data_Te2ClF
_chemical_formula_sum 'Te8 Cl4 F4'
_cell_length_a 6.958
_cell_length_b 6.958
_cell_length_c 6.958
_cell_angle_alpha 90.00
_cell_angle_beta 90.00
_cell_angle_gamma 90.00
_symmetry_space_group_name_H-M 'F m -3 m'
_symmetry_Int_Tables_number 225
_symmetry_space_group_name_Hall '-F 4 2 3'
loop_
_atom_site_label
_atom_site_fract_x
_atom_site_fract_y
_atom_site_fract_z
Te1 0.250 0.250 0.250
Cl1 0.000 0.000 0.000
F1 0.000 0.000 0.500
```

***

Record 3
TeCl3F | GGA-PBE | optimized geometry

```
data_TeCl3F
_chemical_formula_sum 'Te4 Cl12 F4'
_cell_length_a 6.341
_cell_length_b 8.919
_cell_length_c 13.843
_cell_angle_alpha 90.00
_cell_angle_beta 93.21
_cell_angle_gamma 90.00
_symmetry_space_group_name_H-M 'P 1 2/c 1'
_symmetry_Int_Tables_number 13
_symmetry_space_group_name_Hall '-P 2yc'
loop_
_atom_site_label
_atom_site_fract_x
_atom_site_fract_y
_atom_site_fract_z
Te1 0.059 0.159 0.107
Cl1 0.004 0.418 0.381
Cl2 0.118 0.159 0.571
Cl3 0.383 0.191 0.039
F1 0.215 0.150 0.237
```

***

Record 4
TeCl3F | GGA-PBE | optimized geometry

```
data_TeCl3F
_chemical_formula_sum 'Te2 Cl6 F2'
_cell_length_a 5.103
_cell_length_b 9.633
_cell_length_c 6.269
_cell_angle_alpha 90.00
_cell_angle_beta 95.21
_cell_angle_gamma 90.00
_symmetry_space_group_name_H-M 'P 1 21/m 1'
_symmetry_Int_Tables_number 11
_symmetry_space_group_name_Hall '-P 2yb'
loop_
_atom_site_label
_atom_site_fract_x
_atom_site_fract_y
_atom_site_fract_z
Te1 0.006 0.250 0.086
Cl1 0.215 0.060 0.259
Cl2 0.359 0.250 0.833
F1 0.222 0.750 0.677
```

***

Record 5
TeClF3 | GGA-PBE | optimized geometry

```
data_TeClF3
_chemical_formula_sum 'Te1 Cl1 F3'
_cell_length_a 4.493
_cell_length_b 4.493
_cell_length_c 4.493
_cell_angle_alpha 90.00
_cell_angle_beta 90.00
_cell_angle_gamma 90.00
_symmetry_space_group_name_H-M 'P m -3 m'
_symmetry_Int_Tables_number 221
_symmetry_space_group_name_Hall '-P 4 2 3'
loop_
_atom_site_label
_atom_site_fract_x
_atom_site_fract_y
_atom_site_fract_z
Te1 0.000 0.000 0.000
Cl1 0.500 0.500 0.500
F1 0.000 0.500 0.500
```

***

Record 6
TeCl3F | GGA-PBE | optimized geometry

```
data_TeCl3F
_chemical_formula_sum 'Te1 Cl3 F1'
_cell_length_a 4.728
_cell_length_b 4.728
_cell_length_c 4.728
_cell_angle_alpha 90.00
_cell_angle_beta 90.00
_cell_angle_gamma 90.00
_symmetry_space_group_name_H-M 'P m -3 m'
_symmetry_Int_Tables_number 221
_symmetry_space_group_name_Hall '-P 4 2 3'
loop_
_atom_site_label
_atom_site_fract_x

With the restrictions dropped and Omega able to offer the US listings to traders without the hassle and expense of currency conversions, Mike Bignell, Omega’s president and chief compliance officer (CCO), expects increased trading interest. The new listings, which initially will include Bank of America, Google, and Microsoft and several ETFs that trade on venues like NYSE, NASDAQ and AMEX, should be soon followed by more, says Bignell. Also, he says, “There’s a big arbitrage component to this at the end of day.”

Bignell is not aware of any market currently trading the above US-listed instruments in Canadian dollars anywhere in the US. Therefore, he says, Omega ATS will provide “another toy that arb traders could use to trade. For example, Apple.” In the U.S. the popular stock sells in dollars and on Omega ATS it will trade in Canadian dollars. “So for dealers,” says Bignell, “it could be very exciting – a different market to add to their arb portfolios.”

These calculated crystals were left in the article by mistake:
********
1.
A plane-wave DFT calculation with PBE was carried out for RbBeSnAu after structural relaxation.

Geometry as CIF:
```
data_RbBeSnAu
_chemical_formula_sum 'Rb4 Be4 Sn4 Au4'
_symmetry_space_group_name_H-M 'F -4 3 m'
_symmetry_Int_Tables_number 216
_symmetry_space_group_name_Hall 'F -4 2 3'
_cell_length_a 7.312
_cell_length_b 7.312
_cell_length_c 7.312
_cell_angle_alpha 90.00
_cell_angle_beta 90.00
_cell_angle_gamma 90.00
loop_
_atom_site_label
_atom_site_type_symbol
_atom_site_fract_x
_atom_site_fract_y
_atom_site_fract_z
Rb1 Rb 0.000 0.000 0.000
Be1 Be 0.250 0.250 0.250
Sn1 Sn 0.000 0.000 0.500
Au1 Au 0.250 0.250 0.750
```

Polymorph energy (0 for the lowest one) ... 0.0000 eV/atom
Electronic total energy ... -2.471 eV/atom
ρ ... 6.97 Mg/m³


2.
A plane-wave DFT calculation with PBE was carried out for BeSbAu2 after structural relaxation.

Geometry as CIF:
```
data_BeSbAu2
_chemical_formula_sum 'Be4 Sb4 Au8'
_symmetry_space_group_name_H-M 'F -4 3 m'
_symmetry_Int_Tables_number 216
_symmetry_space_group_name_Hall 'F -4 2 3'
_cell_length_a 6.675
_cell_length_b 6.675
_cell_length_c 6.675
_cell_angle_alpha 90.00
_cell_angle_beta 90.00
_cell_angle_gamma 90.00
loop_
_atom_site_label
_atom_site_type_symbol
_atom_site_fract_x
_atom_site_fract_y
_atom_site_fract_z
Be1 Be 0.000 0.000 0.000
Sb1 Sb 0.250 0.250 0.750
Au1 Au 0.000 0.000 0.500
Au2 Au 0.250 0.250 0.250
```

Electronic total energy ... -3.204 eV/atom
ρ ... 11.72 Mg/m³


3.
A plane-wave DFT calculation with PBE was carried out for Be2SbAu after structural relaxation.

Geometry as CIF:
```
data_Be2SbAu
_chemical_formula_sum 'Be8 Sb4 Au4'
_symmetry_space_group_name_H-M 'F -4 3 m'
_symmetry_Int_Tables_number 216
_symmetry_space_group_name_Hall 'F -4 2 3'
_cell_length_a 6.469
_cell_length_b 6.469
_cell_length_c 6.469
_cell_angle_alpha 90.00
_cell_angle_beta 90.00
_cell_angle_gamma 90.00
loop_
_atom_site_label
_atom_site_type_symbol
_atom_site_fract_x
_atom_site_fract_y
_atom_site_fract_z
Be1 Be 0.000 0.000 0.000
Be2 Be 0.250 0.250 0.250
Sb1 Sb 0.000 0.000 0.500
Au1 Au 0.250 0.250 0.750
```

Electronic total energy ... -3.042 eV/atom
ρ ... 8.26 Mg/m³


4.
A plane-wave DFT calculation with PBE was carried out for ScBeAu after structural relaxation.

Geometry as CIF:
```
data_ScBeAu
_chemical_formula_sum 'Sc4 Be4 Au4'
_symmetry_space_group_name_H-M 'F -4 3 m'
_symmetry_Int_Tables_number 216
_symmetry_space_group_name_Hall 'F -4 2 3'
_cell_length_a 6.218
_cell_length_b 6.218
_cell_length_c 6.218
_cell_angle_alpha 90.00
_cell_angle_beta 90.00
_cell_angle_gamma 90.00
loop_
_atom_site_label
_atom_site_type_symbol
_atom_site_fract_x
_atom_site_fract_y
_atom_site_fract_z
Sc1 Sc 0.000 0.000 0.000
Be1 Be 0.250 0.250 0.250
Au1 Au 0.250 0.250 0.750
```

Polymorph energy (0 for the lowest one) ... 0.3898 eV/atom
Electronic total energy ... -4.186 eV/atom
ρ ... 6.93 Mg/m³
M_tot ... 0.0 μB per formula unit


5.
A plane-wave DFT calculation with PBE was carried out for ScBeAu after structural relaxation.
********
Here the article continues:

The TSX tried unsuccessfully in the past to generate arb interest in the currency pair, says Renee Colyer, founder and CEO of Forefactor, a market research and consulting company in Toronto. But, she notes, that was “before high frequency trading became popular.” Colyer, who designs and conducts independent research to provide commentary and recommendations on industry trends in the capital markets, says, “If it’s a low cost solution, Omega’s addition of these Canadian dollar-traded US securities could appeal to small hedge funds, especially broker/dealers, small HFT traders, and small currency arb traders. It would be an opportunity for them.” Colyer predicts little interest on the part of “bigger shops with access to high speed currency conversion. For small HFT and hedge guys, it could make sense. But it probably won’t drive traffic from institutional investors.”
